Self-Funded Medical Benefit Plans

Self-Funded Medical Benefit Plans

Health insurance premiums are one of the top three expenses faced by employers. And, with premiums expected to rise between six and ten percent a year, there is no end in sight.  In addition, as new, super drugs are developed to treat life-threatening diseases, such as cancer and heart disease, premiums will increase even more, since these drugs can cost as much as $10,000 to $20,000 per pill or treatment.  As a result, if employers want to continue to provide quality medical care to their employees, they will have to find new and innovative ways to address the problem of rising health insurance premiums.

____________
No. 1
Here is an optimized crystal structure of Li3Fe2CuO6 from the Materials Project. Energies are from GGA+U.

## Properties
size of the total moment	12.00	Bohr magnetons per cell
formation enthalpy at 0 K	-40.42	kcal/mol of atoms
energy	-0.21085	Ha/atom

Geometry as POSCAR:
```
Li3Fe2CuO6
1.0
1.4896 6.5206 0.0000
-1.4896 6.5206 0.0000
0.0000 1.4307 5.7928
Li O Cu Fe
3 6 1 2
Direct
0.3365 0.3365 0.3332
0.6635 0.6635 0.6668
0.0000 0.0000 0.0000
0.4969 0.4969 0.7370
0.1612 0.1612 0.4060
0.1703 0.1703 0.9279
0.5031 0.5031 0.2630
0.8297 0.8297 0.0721
0.8388 0.8388 0.5940
0.0000 0.0000 0.5000
0.3349 0.3349 0.8312
0.6651 0.6651 0.1688
```

No. 2
Here is an optimized crystal structure of VBPb4O8 from the Materials Project. Energies are from GGA+U.

## Properties
size of the total moment	0.00	Bohr magnetons per cell
formation enthalpy at 0 K	-46.73	kcal/mol of atoms
energy	-0.23985	Ha/atom

Geometry as POSCAR:
```
VBPb4O8
1.0
-1.8324 4.0909 -5.6906
-2.1363 -8.7456 -5.5992
-12.4768 -3.9291 1.1930
Pb O V B
16 32 4 4
Direct
0.1903 0.5439 0.5763
0.4903 0.7529 0.7038
0.0144 0.2393 0.2652
0.2300 0.1437 0.5660
0.5144 0.7607 0.2348
0.3097 0.5439 0.0763
0.7700 0.8563 0.4340
0.9903 0.2471 0.7962
0.4856 0.2393 0.7652
0.7300 0.8563 0.9340
0.8097 0.4561 0.4237
0.5097 0.2471 0.2962
0.9856 0.7607 0.7348
0.0097 0.7529 0.2038
0.6903 0.4561 0.9237
0.2700 0.1437 0.0660
0.4374 0.7819 0.4177
0.0626 0.7819 0.9177
0.4114 0.5323 0.2953
0.8610 0.0689 0.7217
0.5626 0.2181 0.5823
0.3676 0.5243 0.9030
0.0886 0.5323 0.7953
0.5988 0.1806 0.9912
0.2876 0.2974 0.1634
0.9114 0.4677 0.2047
0.1324 0.5243 0.4030
0.8676 0.4757 0.5970
0.0988 0.8194 0.5088
0.9374 0.2181 0.0823
0.6324 0.4757 0.0970
0.9012 0.1806 0.4912
0.7124 0.7026 0.8366
0.2499 0.3221 0.3828
0.1663 0.0532 0.9057
0.7499 0.6779 0.1172
0.7876 0.7026 0.3366
0.6390 0.0689 0.2217
0.1390 0.9311 0.2783
0.3610 0.9311 0.7783
0.8337 0.9468 0.0943
0.3337 0.0532 0.4057
0.2124 0.2974 0.6634
0.2501 0.3221 0.8828
0.6663 0.9468 0.5943
0.5886 0.4677 0.7047
0.7501 0.6779 0.6172
0.4012 0.8194 0.0088
0.7452 0.1015 0.5983
0.7548 0.1015 0.0983
0.2548 0.8985 0.4017
0.2452 0.8985 0.9017
0.2658 0.4616 0.3606
0.7658 0.5384 0.1394
0.7342 0.5384 0.6394
0.2342 0.4616 0.8606
```

No. 3
Here is an optimized crystal structure of MgVO3 from the Materials Project. Energies are from GGA+U.

## Properties
formation enthalpy at 0 K	-63.99	kcal/mol of atoms
energy	-0.26196	Ha/atom

Geometry as POSCAR:
```
MgVO3
1.0
0.0000 0.0000 -5.3073
8.0030 -5.1278 0.0000
-2.6697 -5.1309 0.0000
O Mg V
12 4 4
Direct
0.9850 0.8827 0.6477
0.7377 0.1196 0.8811
0.2376 0.3803 0.6190
0.2377 0.8804 0.1189
0.7376 0.3807 0.6200
0.4850 0.1173 0.3523
0.4850 0.6174 0.8521
0.2377 0.1193 0.8802
0.9850 0.3826 0.1479
0.7376 0.6197 0.3810
0.7377 0.8807 0.1198
0.2376 0.6193 0.3800
0.9885 0.2875 0.8621
0.4885 0.7125 0.1379
0.9885 0.7874 0.3620
0.4885 0.2126 0.6380
0.4870 0.5351 0.6053
0.4872 0.0351 0.1053
0.9870 0.4649 0.3947
0.9872 0.9649 0.8947
```

No. 4
____________
## Back to the entry

Reducing the quality of healthcare is not an option.  Employers need to provide quality medical care to their employees in order to attract and retain top talent.  But, employers will have to find ways to contain costs.  Some employers have asked their employees to bear an increasing portion of the premium expense.  In addition, some employers have limited the networks available to their employees.  However, many employers are asking whether there is a way to contain their costs without shifting costs to their employees or lowering the quality of care.

For some employers, the answer may be a self-funded medical benefit plan with stop-loss insurance.  In addition, it may make sense to combine a self-funded medical benefit plan with a captive insurance company.  This article addresses the advantages of adding a captive insurance company to a self-funded medical benefit plan.

## Next to the entry, the page also holds data records
'''
First-principles (GGA-PBE) data for a geometry-optimized KCa2Ta3O10 structure, as listed in the Materials Project database.

abc: 3.9409 15.2573 15.2573
angles: 14.86 90.00 90.00
Last column: nearest neighbours and their distance in Å.
Atoms (fractional coordinates):
K 0.0000 0.0000 0.0000  2 O 2.64
Ca 0.0000 0.1662 0.1662  8 O 2.54-2.80
Ca 0.0000 0.3181 0.3181  4 O 2.50
Ta 0.5000 0.5999 0.5999  5 O 1.80-2.01
Ta 0.5000 0.7416 0.7416  6 O 1.96-1.98
Ta 0.5000 0.8831 0.8831  1 O 1.79
O 0.0000 0.6134 0.6134  2 Ta 2.01
O 0.0000 0.7410 0.7410  2 Ta 1.97
O 0.0000 0.8690 0.8690  2 Ta 2.02
O 0.5000 0.1134 0.1134  2 Ta 2.01
O 0.5000 0.2410 0.2410  2 Ta 1.97
O 0.5000 0.3688 0.3688  2 Ta 2.02
O 0.5000 0.5403 0.5403  1 Ta 1.80
O 0.5000 0.6760 0.6760  1 Ta 1.98
O 0.5000 0.8064 0.8064  1 Ta 1.96
O 0.5000 0.9421 0.9421  1 Ta 1.79

Computed properties:
E (MP2020) ... -8.954 eV/atom
Formation energy ... -3318 meV per atom
DFT total energy ... -8.525 eV per atom
Theoretical density ... 5.80 g/cm³



First-principles (GGA-PBE) data for a geometry-optimized CaLa structure, as listed in the Materials Project database.

abc: 3.7770 3.7770 6.3000
angles: 90.00 90.00 120.00
Last column: nearest neighbours and their distance in Å.
Atoms (fractional coordinates):
Ca 0.0000 0.0000 0.0000  6 Ca 3.78, 6 La 3.83
La 0.6667 0.3333 0.5000  6 La 3.78, 6 Ca 3.83

Computed properties:
Formation energy ... 76 meV per atom
DFT total energy ... -3.395 eV per atom
Theoretical density ... 3.82 g/cm³



First-principles (GGA-PBE) data for a geometry-optimized CaLaMg6 structure, as listed in the Materials Project database.

abc: 5.3643 6.9191 11.8057
angles: 90.00 90.00 90.00
Last column: nearest neighbours and their distance in Å.
Atoms (fractional coordinates):
Mg 0.5000 0.2496 0.5830  2 Ca 3.31, 8 Mg 3.33-3.47, 2 La 3.33-3.51
Mg 0.0000 0.2464 0.9163  8 Mg 3.32-3.51, 2 Ca 3.32-3.52, 2 La 3.32
Mg 0.5000 0.7504 0.5830  2 Ca 3.31, 8 Mg 3.33-3.47, 2 La 3.33-3.51
Mg 0.0000 0.7536 0.9163  8 Mg 3.32-3.51, 2 Ca 3.32-3.52, 2 La 3.32
Mg 0.0000 0.0000 0.6656  10 Mg 3.34-3.43, 2 Ca 3.46
Mg 0.5000 0.7496 0.0830  2 Ca 3.31, 8 Mg 3.33-3.47, 2 La 3.33-3.51
Mg 0.0000 0.5000 0.1656  10 Mg 3.34-3.43, 2 Ca 3.46
Mg 0.5000 0.5000 0.3362  10 Mg 3.32-3.45, 2 La 3.46
Mg 0.5000 0.0000 0.8362  10 Mg 3.32-3.45, 2 La 3.46
Mg 0.0000 0.2536 0.4163  8 Mg 3.32-3.51, 2 Ca 3.32-3.52, 2 La 3.32
Mg 0.5000 0.2504 0.0830  2 Ca 3.31, 8 Mg 3.33-3.47, 2 La 3.33-3.51
Ca 0.0000 0.5000 0.6577  10 Mg 3.31-3.52, 2 La 3.45
Ca 0.0000 0.0000 0.1577  10 Mg 3.31-3.52, 2 La 3.45
Mg 0.0000 0.7464 0.4163  8 Mg 3.32-3.51, 2 Ca 3.32-3.52, 2 La 3.32
La 0.5000 0.0000 0.3419  10 Mg 3.32-3.51, 2 Ca 3.45
La 0.5000 0.5000 0.8419  10 Mg 3.32-3.51, 2 Ca 3.45

Computed properties:
Formation energy ... 26 meV per atom
DFT total energy ... -2.042 eV per atom
Theoretical density ... 2.46 g/cm³



First-principles (GGA-PBE) data for a geometry-optimized CaLaMg14 structure, as listed in the Materials Project database.

abc: 6.7193 6.7193 10.4342
'''

How does a self-funded medical benefit plan work?  First, an employer agrees to pay for a portion of medical expenses and administrative costs from its general assets.  This is the self-funded portion.  Second, in order to protect itself from unexpected and catastrophic expenses and cap its exposure, it obtains stop-loss insurance to cover claims in excess of a pre-determined amount.  In many cases, the sum of the employer’s self-funded portion and the stop-loss premiums will be less than the premiums it used to pay for health insurance.  So, the employer experiences immediate savings.  Furthermore, if the employer purchases stop-loss insurance from its own captive insurance company, it may realize other benefits, such as:

  1. Premiums paid to the employer’s captive may be lower than premiums paid to a commercial insurance company, because the employer’s captive does not have expenses, such as commissions to agents, premium taxes, profit requirements and reserve requirements, all of which increase the cost of commercial insurance.
  2. The employer can design its policy to meet its unique needs, instead of having to choose from an insurance company’s prepackaged program.
  3. The employer will have greater control over the amount and timing of premium payments, which enable to employer to better manage its cash flow.
  4. The employer, as owner of the captive, retains a certain amount of control over the investment of its premium dollars.
  5. The employer’s captive, instead of an unrelated commercial insurance company, benefits from positive claims experience.
  6. The employer gains access to the reinsurance market, which provides greater protection and may further reduce costs.
  7. The employer can seamlessly transition from a fully-insured medical benefit plan to a self-funded program.

Large employers have used self-funded medical benefit plans for years to control costs and provide quality medical care to their employees.  Many large employers also have established captives to share in the risk and the profits.  These same concepts are now available to small employers, as well.  There are a number of stop-loss carriers willing to write insurance on groups with as few as 15 employees.  In addition, captives have become much more cost-effective for small employers.

How can RMC help you and your clients create self-funded medical benefit plans combined with a stop-loss captive insurance company? RMC is an international risk management company that provides you with:

What comes next are calculated crystals, not part of the article =
-- begin --
# Nd3NiSn7 meta-GGA r2SCAN optimized geometry
data_Nd3NiSn7
_chemical_formula_sum 'Nd6 Ni2 Sn14'
_space_group_name_H-M_alt 'A m m 2'
_space_group_IT_number 38
_cell_length_a 4.552
_cell_length_b 4.529
_cell_length_c 27.436
_cell_angle_alpha 90.00
_cell_angle_beta 90.00
_cell_angle_gamma 90.00
loop_
_space_group_symop_operation_xyz
'x,y,z'
'-x,-y,z'
'-x,y,z'
'x,-y,z'
'x,y+1/2,z+1/2'
'-x,-y+1/2,z+1/2'
'-x,y+1/2,z+1/2'
'x,-y+1/2,z+1/2'
loop_
_atom_site_label
_atom_site_type_symbol
_atom_site_fract_x
_atom_site_fract_y
_atom_site_fract_z
Nd1 Nd 0.000 0.000 0.000
Nd2 Nd 0.000 0.000 0.371
Nd3 Nd 0.500 0.000 0.686
Ni1 Ni 0.500 0.000 0.815
Sn1 Sn 0.000 0.000 0.183
Sn2 Sn 0.000 0.000 0.591
Sn3 Sn 0.000 0.000 0.776
Sn4 Sn 0.500 0.000 0.091
Sn5 Sn 0.500 0.000 0.276
Sn6 Sn 0.500 0.000 0.473
Sn7 Sn 0.500 0.000 0.905
# - Final energy: -560.4 eV/cell
# - Volume: 565.6 Å³/cell
# - Total magnetic moment: 0.000 μB/cell
# - Energy relative to the elements: -14.13 kcal/mol of atoms

----------

Record 1
Crystalline Na6HfMg7S12O48 at its relaxed geometry. Source: the Materials Project, functional PBE-GGA.

## Properties
* formation enthalpy at 0 K: -2.371 eV per atom
* VASP energy: -1376.2 eV/cell
* crystal system: triclinic
* symmetry: P1
* spin magnetization: 0.001 μB/cell

Lattice parameters (Å, degrees): 8.717 15.125 22.757 90.01 90.02 90.05
Positions (direct):
1 Na 0.000 0.000 0.000
2 Na 0.001 0.338 0.333
3 Na 0.046 0.017 0.331
4 Na 0.177 0.518 0.080
5 Na 0.178 0.190 0.749
6 Na 0.182 0.519 0.583
7 Na 0.184 0.842 0.917
8 Na 0.186 0.846 0.411
9 Na 0.191 0.183 0.246
10 Na 0.319 0.018 0.833
11 Na 0.361 0.673 0.166
12 Na 0.672 0.354 0.413
13 Na 0.674 0.015 0.085
14 Na 0.677 0.349 0.911
15 Na 0.678 0.690 0.749
16 Na 0.682 0.018 0.583
17 Na 0.690 0.688 0.252
18 Na 0.819 0.519 0.833
19 Hf 0.181 0.851 0.563
20 Hf 0.680 0.352 0.063
21 Hf 0.681 0.352 0.564
22 Mg 0.176 0.519 0.234
23 Mg 0.179 0.847 0.767
24 Mg 0.182 0.185 0.601
25 Mg 0.182 0.190 0.898
26 Mg 0.184 0.183 0.102
27 Mg 0.184 0.519 0.732
28 Mg 0.184 0.522 0.432
29 Mg 0.184 0.848 0.266
30 Mg 0.186 0.848 0.066
31 Mg 0.187 0.521 0.933
32 Mg 0.193 0.185 0.400
33 Mg 0.674 0.353 0.267
34 Mg 0.675 0.016 0.932
35 Mg 0.676 0.690 0.899
36 Mg 0.678 0.016 0.433
37 Mg 0.679 0.348 0.767
38 Mg 0.679 0.685 0.397
39 Mg 0.681 0.015 0.231
40 Mg 0.682 0.685 0.600
41 Mg 0.684 0.018 0.732
42 Mg 0.687 0.690 0.098
43 S 0.033 0.041 0.499
44 S 0.033 0.705 0.166
45 S 0.035 0.999 0.166
46 S 0.036 0.665 0.833
47 S 0.037 0.372 0.833
48 S 0.040 0.332 0.499
49 S 0.322 0.331 0.999
50 S 0.329 0.000 0.668
51 S 0.329 0.039 0.999
52 S 0.329 0.373 0.333
53 S 0.329 0.665 0.332
54 S 0.330 0.704 0.667
55 S 0.386 0.351 0.667
56 S 0.388 0.685 0.000
57 S 0.390 0.018 0.332
58 S 0.472 0.182 0.500
59 S 0.474 0.518 0.832
60 S 0.474 0.853 0.166
61 S 0.533 0.542 0.499
62 S 0.535 0.205 0.168
63 S 0.535 0.499 0.167
64 S 0.536 0.872 0.832
65 S 0.537 0.165 0.833
66 S 0.541 0.831 0.499
67 S 0.826 0.165 0.333
68 S 0.827 0.872 0.333
69 S 0.829 0.500 0.668
-- stop --

  1. Access to the worldwide reinsurance market;
  2. Actuarial pricing models;
  3. Access to cost savings programs;
  4. Expertise in establishing and managing captives;
  5. Knowledge in plan design;
  6. Access to provider networks;
  7. International partnerships for cost stabilization programs; and
  8. Personalized employee presentations.

Our access to worldwide markets enables us to deliver the most effective and competitive programs available. For more information, contact RMC Group at 888.599.5553 or